The Dawning of You
-- Attached: materials data --
4
Lattice="0.000 3.830 3.830 3.830 0.000 3.830 3.830 3.830 0.000" Properties=species:S:1:pos:R:3 comment="SrPuCdGa PBE-GGA relaxed" sg="F-43m (216)" dos_at_fermi_per_ev_atom=2.976 energy_ev_per_atom=-5.122 pbc="T T T"
Sr 0.000 0.000 0.000
Pu 3.830 3.830 3.830
Cd 1.915 1.915 1.915
Ga 5.745 5.745 5.745

~~~~~

[1]
# BeCu2Br

BeCu2Br at its PBEsol-relaxed geometry (SCAN, Alexandria via LeMat-Bulk).

Cell: 3.412 3.412 10.223 Å, 90.00 90.00 90.00°
Space group I-4m2 (No. 119)
Unique sites:
Be 0.000 0.000 0.000 [2 per cell]
Cu 0.000 0.000 0.500 [2 per cell]
Cu 0.000 0.500 0.750 [2 per cell]
Br 0.000 0.500 0.250 [2 per cell]

Calculated values
Energy relative to the elements, uncorrected, eV/atom: 0.615
Magnetization, μB/cell: 0.0
E, eV/atom: -12.938

[2]
# Be2HgBrF

Be2HgBrF at its PBEsol-relaxed geometry (SCAN, Alexandria via LeMat-Bulk).

Cell: 4.436 4.436 6.266 Å, 90.00 90.00 90.00°
Space group P4/mmm (No. 123)
Unique sites:
Be 0.000 0.500 0.000 [2 per cell]
Hg 0.000 0.000 0.500 [1 per cell]
Br 0.000 0.000 0.000 [1 per cell]
F 0.500 0.500 0.500 [1 per cell]

Calculated values
Energy relative to the elements, uncorrected, eV/atom: 0.854
Magnetization, μB/cell: 0.0
E, eV/atom: -19.120

What did the first record say?
# BeCu2Br

BeCu2Br at its PBEsol-relaxed geometry (SCAN, Alexandria via LeMat-Bulk).

Cell: 3.412 3.412 10.223 Å, 90.00 90.00 90.00°
Space group I-4m2 (No. 119)
Unique sites:
Be 0.000 0.000 0.000 [2 per cell]
Cu 0.000 0.000 0.500 [2 per cell]
Cu 0.000 0.500 0.750 [2 per cell]
Br 0.000 0.500 0.250 [2 per cell]

Calculated values
Energy relative to the elements, uncorrected, eV/atom: 0.615
Magnetization, μB/cell: 0.0
E, eV/atom: -12.938

~~~~~

No. 1
Density functional theory data (GGA-PBE) for an optimized crystal structure of TaMnBRu2.

Values from the calculation:
- symmetry = P4/mmm (123)
- final energy (eV per formula unit) = -47.44

Cell: 4.0598 4.0598 3.9341 Å, 90.00 90.00 90.00°
With the nearest neighbours (Å) after each atom.
Sites, in units of the cell vectors:
Ru: 0.0000 0.5000 0.0000  2 B 2.03
B: 0.0000 0.0000 0.0000  2 Mn 1.97, 4 Ru 2.03
Ta: 0.5000 0.5000 0.5000  8 Ru 2.83, 4 Mn 2.87
Mn: 0.0000 0.0000 0.5000  2 B 1.97
Ru: 0.5000 0.0000 0.0000  2 B 2.03

No. 2
Density functional theory data (GGA-PBE) for an optimized crystal structure of MnTc2BRu.

Values from the calculation:
- symmetry = P4/mmm (123)
- final energy (eV per formula unit) = -34.49

Cell: 4.6145 4.6971 4.6145 Å, 90.00 90.00 90.00°
With the nearest neighbours (Å) after each atom.
Sites, in units of the cell vectors:
Mn: 0.0000 0.5000 0.0000  2 Ru 2.35
Ru: 0.0000 0.0000 0.0000  4 Tc 2.31, 2 Mn 2.35
B: 0.5000 0.5000 0.5000  4 Mn 3.26, 8 Tc 3.29
Tc: 0.5000 0.0000 0.0000  2 Ru 2.31
Tc: 0.0000 0.0000 0.5000  2 Ru 2.31

No. 3
Density functional theory data (GGA-PBE) for an optimized crystal structure of Tm2MnB2Ru5.

Values from the calculation:
- symmetry = P4/mbm (127)
- final energy (eV per formula unit) = -82.05

Cell: 3.0844 9.4900 9.4900 Å, 90.00 90.00 90.00°
-- The page goes on --
Book Details
About the Book
Someone pasted crystal structures at this point:
____________
A geometry-optimized Mn2FeF structure. Source: Alexandria, functional PBE with a Hubbard U.

Cell lengths 3.8983, 3.8983, 3.8983 Å; angles 60.00, 60.00, 60.00 degrees
With the nearest neighbours (Å) after each atom.
Fractional coordinates of all 4 atoms:
1 Mn 0.7500 0.7500 0.7500  4 Fe 2.39, 4 F 2.39
2 Mn 0.2500 0.2500 0.2500  4 Fe 2.39, 4 F 2.39
3 F 0.0000 0.0000 0.0000  8 Mn 2.39
4 Fe 0.5000 0.5000 0.5000  8 Mn 2.39

Results
- space-group type = Fm-3m, No. 225
- E (eV per atom) = -2.80
- ΔE to the lowest computed polymorph (meV/atom) = 2800

~~~~~

(i)
The following is a PBE calculation of a geometry-optimized In2Bi2Pb7 structure, from Alexandria via LeMat-Bulk.

Cell: 8.5650 6.3966 8.5650 Å, 62.19 85.58 62.19°
Last column: nearest neighbours and their distance in Å.
Positions (direct):
In 0.8239 0.0000 0.1761  4 Pb 3.35-3.47, 2 Bi 3.43
In 0.1761 0.0000 0.8239  4 Pb 3.35-3.47, 2 Bi 3.43
Bi 0.2656 0.5201 0.2656  8 Pb 3.29-3.61, 2 In 3.43
Bi 0.7344 0.4799 0.7344  8 Pb 3.29-3.61, 2 In 3.43
Pb 0.9249 0.3265 0.4195  4 Pb 3.30-3.51, 2 In 3.35-3.47, 2 Bi 3.35-3.61
Pb 0.4195 0.3265 0.9249  4 Pb 3.30-3.51, 2 In 3.35-3.47, 2 Bi 3.35-3.61
Pb 0.3848 0.8898 0.3848  3 Bi 3.29-3.51, 2 Pb 3.51
Pb 0.0000 0.5000 0.0000  4 Pb 3.34, 2 Bi 3.42
Pb 0.6152 0.1102 0.6152  3 Bi 3.29-3.51, 2 Pb 3.51
Pb 0.0751 0.6735 0.5805  4 Pb 3.30-3.51, 2 In 3.35-3.47, 2 Bi 3.35-3.61
Pb 0.5805 0.6735 0.0751  4 Pb 3.30-3.51, 2 In 3.35-3.47, 2 Bi 3.35-3.61

Summary:
Calculated volume in Å³ per cell: 361

***

(ii)
The following is a PBE calculation of a geometry-optimized In2Bi2Pb7 structure, from Alexandria via LeMat-Bulk.

Cell: 7.8447 7.0831 7.0831 Å, 104.74 99.77 99.77°
Last column: nearest neighbours and their distance in Å.
Positions (direct):
In 0.6677 0.1386 0.1386  1 In 3.03, 3 Pb 3.16-3.27
In 0.3323 0.8614 0.8614  1 In 3.03, 3 Pb 3.16-3.27
Bi 0.5000 0.2864 0.7136  6 Pb 3.26-3.37, 2 In 3.55
Bi 0.5000 0.7136 0.2864  6 Pb 3.26-3.37, 2 In 3.55
Pb 0.1793 0.9141 0.4231  2 Bi 3.26-3.28, 1 In 3.27, 5 Pb 3.33-3.58
Pb 0.8207 0.5769 0.0859  2 Bi 3.26-3.28, 1 In 3.27, 5 Pb 3.33-3.58
Pb 0.8207 0.0859 0.5769  2 Bi 3.26-3.28, 1 In 3.27, 5 Pb 3.33-3.58
Pb 0.1793 0.4231 0.9141  2 Bi 3.26-3.28, 1 In 3.27, 5 Pb 3.33-3.58
Pb 0.0000 0.0000 0.0000  2 In 3.16, 6 Pb 3.33-3.51
Pb 0.8145 0.5810 0.5810  2 Bi 3.37, 6 Pb 3.51-3.58, 1 In 3.68
Pb 0.1855 0.4190 0.4190  2 Bi 3.37, 6 Pb 3.51-3.58, 1 In 3.68

Summary:
Calculated volume in Å³ per cell: 366

***

Tell me which of them is the most stable. Sure, it is (i).

***

(i)
The following is a PBE calculation of a geometry-optimized In2BiPb4 structure, from Alexandria via LeMat-Bulk.

Cell: 5.6476 5.6476 8.4253 Å, 70.42 70.42 60.00°
Last column: nearest neighbours and their distance in Å.
Positions (direct):
In 0.7100 0.7100 0.8701  5 Pb 3.21-3.47, 3 Bi 3.41
In 0.2900 0.2900 0.1299  5 Pb 3.21-3.47, 3 Bi 3.41
Bi 0.0000 0.0000 0.0000  6 In 3.41, 2 Pb 3.43
Pb 0.8530 0.8530 0.4410  1 In 3.33, 6 Pb 3.39-3.48, 1 Bi 3.43
____________
Although we were created, we were also given a unique to this world self will. Being that we have this self will to decide to live how we would like, it is a continual, recurrent, conscious moment to moment decision to live for the purpose of the creator’s intention for making us.
It’s that simple, it’s that important, and we are otherwise pointlessly lost in space here unless we simply find that purpose and submit to it.
These works provide a supplemental and functional life guide on how to experience the love and compassion of God full force while still being entombed in these bodies on the face of this physical realm that we call Earth.
The narrow road may be less traveled and difficult, but the way of truth sets you free and is fulfilling. (Ref to Matthew 7:14)
Take on my yoke, my yoke is easy. (Ref to Matthew 11 28-30)
He will even carry the lost sheep on his shoulders like a little lamb. (Ref to Luke 15:5)
• Next to the text, the page also holds materials data:
********
No. 1
K3TbF6 (PBE, relaxed); space-group type = P2_1/c, No. 14; spin magnetization = 0.00 μB/f.u.; raw total energy = -52.248 eV per formula unit
1.0
-0.621 -5.521 2.580
6.148 0.195 1.897
-1.821 9.062 4.971
F Tb K
12 2 6
Direct
0.898 0.564 0.269 F
0.102 0.436 0.731 F
0.656 0.677 0.446 F
0.754 0.221 0.424 F
0.754 0.279 0.924 F
0.102 0.064 0.231 F
0.344 0.323 0.554 F
0.656 0.823 0.946 F
0.898 0.936 0.769 F
0.344 0.177 0.054 F
0.246 0.779 0.576 F
0.246 0.721 0.076 F
0.000 0.500 0.500 Tb
0.000 0.000 0.000 Tb
0.500 0.500 0.000 K
0.276 0.062 0.755 K
0.500 0.000 0.500 K
0.724 0.938 0.245 K
0.276 0.438 0.255 K
0.724 0.562 0.745 K


No. 2
KTb3F10 (PBE, relaxed); space-group type = Fm-3m, No. 225; spin magnetization = 0.00 μB/f.u.; raw total energy = -89.320 eV per formula unit
1.0
-4.172 -6.415 -2.654
3.150 5.256 -5.297
4.870 -4.911 4.216
Tb F K
6 20 2
Direct
0.239 0.000 0.761 Tb
0.239 0.000 0.239 Tb
0.761 0.000 0.239 Tb
0.761 0.000 0.761 Tb
0.761 0.521 0.761 Tb
0.239 0.479 0.239 Tb
0.887 0.227 0.113 F
0.500 0.665 0.165 F
0.835 0.335 0.835 F
0.500 0.335 0.835 F
0.500 0.665 0.500 F
0.835 0.335 0.500 F
0.165 0.665 0.165 F
0.165 0.665 0.500 F
0.887 0.773 0.660 F
0.113 0.773 0.887 F
0.500 0.000 0.835 F
0.835 0.000 0.500 F
0.113 0.227 0.340 F
0.660 0.773 0.887 F
0.887 0.773 0.113 F
0.500 0.335 0.500 F
0.113 0.227 0.887 F
0.165 0.000 0.500 F
0.500 0.000 0.165 F
0.340 0.227 0.113 F
0.750 0.500 0.250 K
0.250 0.500 0.750 K


No. 3
K3TcF6 (PBE, relaxed); space-group type = I4/m, No. 87; spin magnetization = 2.00 μB/f.u.; raw total energy = -48.835 eV per formula unit
1.0
-2.941 2.941 4.451
2.941 -2.941 4.451
2.941 2.941 -4.451
F K Tc
6 3 1
Direct
0.864 0.689 0.553 F
0.230 0.230 0.000 F
0.770 0.770 0.000 F
0.311 0.864 0.175 F
0.689 0.136 0.825 F
0.136 0.311 0.447 F
0.250 0.750 0.500 K
0.500 0.500 0.000 K
0.750 0.250 0.500 K
0.000 0.000 0.000 Tc


No. 4
K2TcF6 (PBE, relaxed); space-group type = P-3m1, No. 164; spin magnetization = 3.00 μB/f.u.; raw total energy = -46.357 eV per formula unit
1.0
-3.514 -2.599 3.554
4.890 -2.422 -1.402
1.976 2.009 3.423
K F Tc
2 6 1
Direct
0.333 0.667 0.286 K
0.667 0.333 0.714 K
0.663 0.832 0.762 F
0.832 0.663 0.238 F
0.832 0.168 0.238 F
0.337 0.168 0.238 F
0.168 0.337 0.762 F
0.168 0.832 0.762 F
0.000 0.000 0.000 Tc


No. 5
KTcF6 (PBE, relaxed); space-group type = Fm-3m, No. 225; spin magnetization = 2.00 μB/f.u.; raw total energy = -41.129 eV per formula unit
1.0
0.000 4.318 4.318
4.318 0.000 4.318
4.318 4.318 0.000
K Tc F
1 1 6
Direct
0.000 0.000 0.000 K
0.500 0.500 0.500 Tc
0.718 0.282 0.282 F
0.718 0.718 0.282 F
0.282 0.718 0.282 F
0.282 0.718 0.718 F
0.282 0.282 0.718 F
0.718 0.282 0.718 F


No. 6
K2TlTcF6 (PBE, relaxed); space-group type = Fm-3m, No. 225; spin magnetization = 2.00 μB/f.u.; raw total energy = -47.412 eV per formula unit
1.0
2.751 1.851 5.314
3.146 5.414 0.177
-2.315 4.865 3.196
Tl F Tc K
1 6 1 2
Direct
0.500 0.500 0.500 Tl
0.226 0.226 0.774 F
0.226 0.774 0.774 F
0.774 0.774 0.226 F
0.774 0.226 0.226 F
********
About the Author
A miracle of the physical world was granted me at age 14 due to a dilemma I was in where I had no other choice but to put all my faith in God. I specifically asked through prayer for a non-specific change within the physical world by God in order to prevent an inevitable occurrence. At age 19, I awoke one morning while in summer school and immediately started writing. I have no idea why this occurred with the exception of apparently something just had to come out of me. I never questioned it, and otherwise I had never aspired to write. After writing some 16 or so pages, I started slowing down and realizing that it was not yet time in life for me to do what I was doing. At that time, the work was titled "Building Better Children.” At age 21 and after a unrelated but second recent major life occurrence, the Holy Spirit again visited me directly. Being that this was the second recent visitation, I understood that sinning caused the end of the first and would similarly cause the end of this second experience as well. I made a conscious decision and followed through with not sinning in any form or fashion for an entire week. At the end of the week, I became concerned about what all of the things meant for me that I was shown throughout its course. I had changed and obviously was now somewhat dissimilar in my thoughts and understanding to those around me. I went directly to prayer in faith and spiritual request for answers as to what I was to do with the things I had been shown and experienced. During this prayer, I was spiritually visited and challenged as I received physical manifestations of contact while remaining steadfast to God linked directly in prayer. I received a spiritual vision and thereafter through two-way spiritual communication with associated images, it was revealed to me that I was a spiritual guide whose purpose was to get people prepared to meet God. Being that priests, relatives, and friends did not have anywhere for me to go with these experiences, I simply shared them with others with decreasing frequency throughout the years. For the period of age 21 to 48, I mostly forgot and only occasionally thought about it. I basically chalked it up to its being an inordinate experience in life. At that time and still now 30 years later, I do not know whether this message was related to this world, the hereafter, or somewhere in between. I do not press the divine creator for further knowledge of these enlightenments, for I am but a meager sinning creation of that divine force. After these early experiences, I subsequently went through life living as I wish, and only consulting God as my pocket God of convenience. I continued living and chasing my dreams and aspirations of this physical realm, and mainly serving the wrong master—myself. Upon receiving earthly successes through personal efforts, and realizing I had gone astray from God, I began rekindling my relationship with Him by seeking truth in myself and everything around me. I began to recapture the consciousness of spirituality in my life which was otherwise ego dominated and driven by the physical portion of my existence. At age 48, upon leaving church, I was compelled to start writing about our spirit, God, His constant presence, the ego, and the purpose of this life's physical presence in this materially tangible and temporary reality. Two years later I am halfway through Book 5 on messages and understandings from our Creator as it relates to our existence, this otherwise confusing life, and our ego chosen life viewpoint of this temporary and physical world. These writings are for the sole purpose of enlightening the flock of His children. The flock includes all of us as we freely speak truth and testify to our sinful and anti-Godly ways, while we strive to be the subservient creation of the grand architect's purpose for us.